Exercise:
Now write out the whole of the block further down word for word.

Data:
~~~
No. 1
VASP calculation (GGA-PBE) on a geometry-optimized SrLiLaTi3O9 structure.

Structure (CIF):
```
data_SrLiLaTi3O9
_chemical_formula_sum 'Sr1 Li1 La1 Ti3 O9'
_symmetry_space_group_name_H-M 'P 3 m 1'
_symmetry_Int_Tables_number 156
_cell_length_a 5.5299
_cell_length_b 5.5299
_cell_length_c 6.7882
_cell_angle_alpha 90.00
_cell_angle_beta 90.00
_cell_angle_gamma 120.00
loop_
_symmetry_equiv_pos_as_xyz
'x,y,z'
'-y,x-y,z'
'-x+y,-x,z'
'-y,-x,z'
'-x+y,y,z'
'x,x-y,z'
loop_
_atom_site_label
_atom_site_type_symbol
_atom_site_fract_x
_atom_site_fract_y
_atom_site_fract_z
Sr1 Sr 0.0000 0.0000 0.0000
Li1 Li 0.3333 0.6667 0.6692
La1 La 0.6667 0.3333 0.3417
Ti1 Ti 0.0000 0.0000 0.5102
Ti2 Ti 0.3333 0.6667 0.1671
Ti3 Ti 0.6667 0.3333 0.8336
O1 O 0.1652 0.3303 0.3346
O2 O 0.3388 0.1694 0.6651
O3 O 0.5041 0.0081 0.0121
```

***

No. 2
# GGA-PBE FeSiW, optimized geometry
data_FeSiW
_chemical_formula_sum 'Fe8 Si8 W8'
_symmetry_space_group_name_H-M 'A m m 2'
_symmetry_Int_Tables_number 38
_cell_length_a 7.648
_cell_length_b 4.923
_cell_length_c 8.075
_cell_angle_alpha 90.00
_cell_angle_beta 90.00
_cell_angle_gamma 90.00
loop_
_symmetry_equiv_pos_as_xyz
'x,y,z'
'-x,-y,z'
'-x,y,z'
'x,-y,z'
'x,y+1/2,z+1/2'
'-x,-y+1/2,z+1/2'
'-x,y+1/2,z+1/2'
'x,-y+1/2,z+1/2'
loop_
_atom_site_label
_atom_site_type_symbol
_atom_site_fract_x
_atom_site_fract_y
_atom_site_fract_z
Fe1 Fe 0.000 0.000 0.000
Fe2 Fe 0.000 0.240 0.241
Fe3 Fe 0.500 0.000 0.681
Si1 Si 0.237 0.000 0.818
Si2 Si 0.500 0.240 0.425
W1 W 0.182 0.000 0.492
W2 W 0.310 0.000 0.160
# Offset from the most stable computed form (eV per atom): 0.0467

***

No. 3
VASP calculation (GGA-PBE) on a geometry-optimized K2P3H7O9 structure.

Structure (CIF):
```
data_K2P3H7O9
_chemical_formula_sum 'K4 P6 H14 O18'
_symmetry_space_group_name_H-M 'P -1'
_symmetry_Int_Tables_number 2
_cell_length_a 7.653
_cell_length_b 8.757
_cell_length_c 9.167
_cell_angle_alpha 79.12
_cell_angle_beta 67.00
_cell_angle_gamma 88.49
loop_
_symmetry_equiv_pos_as_xyz
'x,y,z'
'-x,-y,-z'
loop_
_atom_site_label
_atom_site_type_symbol
_atom_site_fract_x
_atom_site_fract_y
_atom_site_fract_z
K1 K 0.091 0.076 0.150
K2 K 0.184 0.596 0.097
P1 P 0.031 0.720 0.518
P2 P 0.355 0.365 0.758
P3 P 0.440 0.897 0.776
H1 H 0.158 0.599 0.503
H2 H 0.198 0.259 0.635
H3 H 0.247 0.916 0.427
H4 H 0.353 0.292 0.252
H5 H 0.427 0.912 0.625
H6 H 0.429 0.514 0.669
H7 H 0.453 0.823 0.211
O1 O 0.006 0.243 0.637
O2 O 0.137 0.325 0.322
O3 O 0.145 0.863 0.533
O4 O 0.177 0.375 0.904
O5 O 0.246 0.907 0.906
O6 O 0.333 0.269 0.637
O7 O 0.402 0.985 0.245
O8 O 0.474 0.707 0.201
O9 O 0.494 0.275 0.189
```

***

No. 4
VASP calculation (GGA-PBE) on a geometry-optimized InP3 structure.

Structure (CIF):
```
data_InP3
_chemical_formula_sum 'In6 P18'
_symmetry_space_group_name_H-M 'R -3 m'
_symmetry_Int_Tables_number 166
_symmetry_space_group_name_Hall '-R 3 2"'
_cell_length_a 7.5223
_cell_length_b 7.5223
_cell_length_c 10.1612
_cell_angle_alpha 90.00
_cell_angle_beta 90.00
_cell_angle_gamma 120.00
loop_
_atom_site_label
_atom_site_type_symbol
_atom_site_fract_x
_atom_site_fract_y
_atom_site_fract_z
In1 In 0.0000 0.0000 0.2256
P1 P 0.0370 0.5185 0.2204
```

***

No. 5
VASP calculation (GGA-PBE) on a geometry-optimized La12Fe2I17 structure.

Structure (CIF):
```
data_La12Fe2I17
_chemical_formula_sum 'La12 Fe2 I17'
_symmetry_space_group_name_H-M 'P -1'
_symmetry_Int_Tables_number 2
_cell_length_a 9.945
_cell_length_b 11.996
_cell_length_c 12.202
_cell_angle_alpha 74.00
_cell_angle_beta 75.16
_cell_angle_gamma 67.08
loop_
_symmetry_equiv_pos_as_xyz
'x,y,z'
'-x,-y,-z'
loop_
_atom_site_label
_atom_site_type_symbol
_atom_site_fract_x
_atom_site_fract_y
_atom_site_fract_z
La1 La 0.047 0.021 0.171
La2 La 0.061 0.168 0.501
La3 La 0.078 0.261 0.770
La4 La 0.209 0.500 0.412
La5 La 0.329 0.685 0.077
La6 La 0.342 0.784 0.347
Fe1 Fe 0.134 0.766 0.285
I1 I 0.041 0.558 0.675
I2 I 0.069 0.676 0.969
I3 I 0.196 0.862 0.608
I4 I 0.248 0.974 0.913
I5 I 0.288 0.082 0.252
I6 I 0.354 0.196 0.549
~~~

Done:
No. 1
VASP calculation (GGA-PBE) on a geometry-optimized SrLiLaTi3O9 structure.

Structure (CIF):
```
data_SrLiLaTi3O9
_chemical_formula_sum 'Sr1 Li1 La1 Ti3 O9'
_symmetry_space_group_name_H-M 'P 3 m 1'
_symmetry_Int_Tables_number 156
_cell_length_a 5.5299
_cell_length_b 5.5299
_cell_length_c 6.7882
_cell_angle_alpha 90.00
_cell_angle_beta 90.00
_cell_angle_gamma 120.00
loop_
_symmetry_equiv_pos_as_xyz
'x,y,z'
'-y,x-y,z'
'-x+y,-x,z'
'-y,-x,z'
'-x+y,y,z'
'x,x-y,z'
loop_
_atom_site_label
_atom_site_type_symbol
_atom_site_fract_x
_atom_site_fract_y
_atom_site_fract_z
Sr1 Sr 0.0000 0.0000 0.0000
Li1 Li 0.3333 0.6667 0.6692
La1 La 0.6667 0.3333 0.3417
Ti1 Ti 0.0000 0.0000 0.5102
Ti2 Ti 0.3333 0.6667 0.1671
Ti3 Ti 0.6667 0.3333 0.8336
O1 O 0.1652 0.3303 0.3346
O2 O 0.3388 0.1694 0.6651
O3 O 0.5041 0.0081 0.0121
```

***

No. 2
# GGA-PBE FeSiW, optimized geometry
data_FeSiW
_chemical_formula_sum 'Fe8 Si8 W8'
_symmetry_space_group_name_H-M 'A m m 2'
_symmetry_Int_Tables_number 38
_cell_length_a 7.648
_cell_length_b 4.923
_cell_length_c 8.075
_cell_angle_alpha 90.00
_cell_angle_beta 90.00
_cell_angle_gamma 90.00
loop_
_symmetry_equiv_pos_as_xyz
'x,y,z'
'-x,-y,z'
'-x,y,z'
'x,-y,z'
'x,y+1/2,z+1/2'
'-x,-y+1/2,z+1/2'
'-x,y+1/2,z+1/2'
'x,-y+1/2,z+1/2'
loop_
_atom_site_label
_atom_site_type_symbol
_atom_site_fract_x
_atom_site_fract_y
_atom_site_fract_z
Fe1 Fe 0.000 0.000 0.000
Fe2 Fe 0.000 0.240 0.241
Fe3 Fe 0.500 0.000 0.681
Si1 Si 0.237 0.000 0.818
Si2 Si 0.500 0.240 0.425
W1 W 0.182 0.000 0.492
W2 W 0.310 0.000 0.160
# Offset from the most stable computed form (eV per atom): 0.0467

***

No. 3
VASP calculation (GGA-PBE) on a geometry-optimized K2P3H7O9 structure.

Structure (CIF):
```
data_K2P3H7O9
_chemical_formula_sum 'K4 P6 H14 O18'
_symmetry_space_group_name_H-M 'P -1'
_symmetry_Int_Tables_number 2
_cell_length_a 7.653
_cell_length_b 8.757
_cell_length_c 9.167
_cell_angle_alpha 79.12
_cell_angle_beta 67.00
_cell_angle_gamma 88.49
loop_
_symmetry_equiv_pos_as_xyz
'x,y,z'
'-x,-y,-z'
loop_
_atom_site_label
_atom_site_type_symbol
_atom_site_fract_x
_atom_site_fract_y
_atom_site_fract_z
K1 K 0.091 0.076 0.150
K2 K 0.184 0.596 0.097
P1 P 0.031 0.720 0.518
P2 P 0.355 0.365 0.758
P3 P 0.440 0.897 0.776
H1 H 0.158 0.599 0.503
H2 H 0.198 0.259 0.635
H3 H 0.247 0.916 0.427
H4 H 0.353 0.292 0.252
H5 H 0.427 0.912 0.625
H6 H 0.429 0.514 0.669
H7 H 0.453 0.823 0.211
O1 O 0.006 0.243 0.637
O2 O 0.137 0.325 0.322
O3 O 0.145 0.863 0.533
O4 O 0.177 0.375 0.904
O5 O 0.246 0.907 0.906
O6 O 0.333 0.269 0.637
O7 O 0.402 0.985 0.245
O8 O 0.474 0.707 0.201
O9 O 0.494 0.275 0.189
```

***

No. 4
VASP calculation (GGA-PBE) on a geometry-optimized InP3 structure.

Structure (CIF):
```
data_InP3
_chemical_formula_sum 'In6 P18'
_symmetry_space_group_name_H-M 'R -3 m'
_symmetry_Int_Tables_number 166
_symmetry_space_group_name_Hall '-R 3 2"'
_cell_length_a 7.5223
_cell_length_b 7.5223
_cell_length_c 10.1612
_cell_angle_alpha 90.00
_cell_angle_beta 90.00
_cell_angle_gamma 120.00
loop_
_atom_site_label
_atom_site_type_symbol
_atom_site_fract_x
_atom_site_fract_y
_atom_site_fract_z
In1 In 0.0000 0.0000 0.2256
P1 P 0.0370 0.5185 0.2204
```

***

No. 5
VASP calculation (GGA-PBE) on a geometry-optimized La12Fe2I17 structure.

Structure (CIF):
```
data_La12Fe2I17
_chemical_formula_sum 'La12 Fe2 I17'
_symmetry_space_group_name_H-M 'P -1'
_symmetry_Int_Tables_number 2
_cell_length_a 9.945
_cell_length_b 11.996
_cell_length_c 12.202
_cell_angle_alpha 74.00
_cell_angle_beta 75.16
_cell_angle_gamma 67.08
loop_
_symmetry_equiv_pos_as_xyz
'x,y,z'
'-x,-y,-z'
loop_
_atom_site_label
_atom_site_type_symbol
_atom_site_fract_x
_atom_site_fract_y
_atom_site_fract_z
La1 La 0.047 0.021 0.171
La2 La 0.061 0.168 0.501
La3 La 0.078 0.261 0.770
La4 La 0.209 0.500 0.412
La5 La 0.329 0.685 0.077
La6 La 0.342 0.784 0.347
Fe1 Fe 0.134 0.766 0.285
I1 I 0.041 0.558 0.675
I2 I 0.069 0.676 0.969
I3 I 0.196 0.862 0.608
I4 I 0.248 0.974 0.913
I5 I 0.288 0.082 0.252
I6 I 0.354 0.196 0.549